Kapuanani Dacquel
My boyfriend at the time was 25 and I had only been with him for a few months. We were drinking at his family’s party in Kihei and I suggested that we drive upcountry (about a 20-30 min drive) to another party that my friends were having. By that time, we had already had way too much to drink, but this was nothing new to me. I had done this so many times before, drinking and driving and thinking I was in some way invincible.
We got into his truck and started to make our way Upcountry on Maui Veteran’s Highway (formerly Mokulele Highway.) I didn’t have my seat belt on and neither did my boyfriend. I was so drunk that I was about to pass out, but I heard a distinct voice tell me, “Put on your seat belt,” (which later I would come to realize was The HOLY SPIRIT). So, I put my seat belt on and then passed out.
The next thing I remember is waking up as the truck was driving through a large traffic light post near the Humane Society. The truck came to a stop and I looked to the left of me and my boyfriend wasn’t there! He didn’t have his seat belt on, so he flew out of his driver side window and landed at least 50 feet from where the truck was. I ran to him and he tried to talk and get up but couldn’t. The impact was too much. There were several people that stopped on the side to help. I called my friend to pick me up and take me to the hospital because only by the Grace of GOD was I able to walk away with only a few minor bruises!
Data records from another source follow.
<<<
(1)
A structure of composition C40H50BIrN11S5 in a non-equilibrium geometry, computed with ωB97M-V/def2-TZVPD.

Element x y z (Å)
1 Ir -0.089 -1.516 -0.776
2 C -1.450 4.362 3.785
3 C -1.029 3.922 2.384
4 C -2.190 3.163 1.747
5 C -0.635 5.161 1.584
6 N 0.142 2.988 2.491
7 C 0.680 2.576 3.698
8 C 1.689 1.736 3.422
9 N 1.784 1.614 2.048
10 B 2.894 0.674 1.521
11 N 2.585 -0.763 2.110
12 C 3.512 -1.347 2.947
13 C 2.861 -2.178 3.786
14 N 1.513 -2.129 3.466
15 C 1.388 -1.289 2.401
16 S -0.097 -0.956 1.555
17 C 0.419 -2.514 4.455
18 C -0.211 -1.213 4.950
19 C -0.633 -3.432 3.842
20 C 1.050 -3.246 5.637
21 N 3.185 0.800 0.007
22 C 3.858 1.920 -0.399
23 C 3.969 1.872 -1.741
24 N 3.365 0.711 -2.168
25 C 2.882 0.071 -1.077
26 S 2.222 -1.539 -0.982
27 C 3.369 0.387 -3.642
28 C 2.495 1.437 -4.328
29 C 4.816 0.461 -4.136
30 C 2.839 -1.005 -3.956
31 C 0.841 2.402 1.478
32 S 0.640 2.648 -0.208
33 H -2.301 5.033 3.678
34 H -0.662 4.915 4.297
35 H -1.768 3.523 4.403
36 H -3.072 3.805 1.713
37 H -2.434 2.276 2.336
38 H -1.945 2.864 0.733
39 H -1.470 5.863 1.588
40 H -0.389 4.916 0.555
41 H 0.223 5.653 2.044
42 H 0.313 2.915 4.646
43 H 2.369 1.230 4.086
44 H 3.919 0.992 2.062
45 H 4.553 -1.084 2.903
46 H 3.246 -2.771 4.591
47 H -0.739 -0.689 4.155
48 H 0.554 -0.552 5.361
49 H -0.924 -1.442 5.742
50 H -1.085 -3.015 2.945
51 H -1.424 -3.569 4.579
52 H -0.220 -4.417 3.629
53 H 1.719 -2.608 6.213
54 H 1.582 -4.147 5.328
55 H 0.244 -3.556 6.301
56 H 4.190 2.666 0.300
57 H 4.423 2.569 -2.417
58 H 2.889 2.444 -4.193
59 H 1.484 1.410 -3.919
60 H 2.455 1.232 -5.398
61 H 5.242 1.459 -4.060
62 H 4.840 0.179 -5.188
63 H 5.450 -0.232 -3.583
64 H 1.802 -1.131 -3.656
65 H 3.433 -1.788 -3.488
66 H 2.903 -1.128 -5.038
67 N 0.831 -4.341 0.966
68 C 0.615 -4.488 -0.339
69 N 0.221 -3.505 -1.126
70 C 0.103 -3.938 -2.467
71 C 0.360 -5.240 -2.652
72 S 0.790 -5.995 -1.159
73 C -0.227 -2.872 -3.405
74 C -0.422 -2.763 -4.737
75 S -0.748 -1.108 -5.162
76 C -0.574 -0.648 -3.517
77 N -0.321 -1.670 -2.755
78 N -0.647 0.573 -2.925
79 H 0.777 -3.410 1.356
80 H 1.281 -5.066 1.495
81 H 0.343 -5.801 -3.571
82 H -0.385 -3.523 -5.500
83 H -1.043 1.338 -3.456
84 H -0.601 1.318 -1.048
85 N -1.077 0.520 -1.532
86 C -2.515 0.547 -1.499
87 C -3.138 -0.760 -1.549
88 C -4.233 -1.083 -2.358
89 C -4.692 -2.390 -2.407
90 C -4.095 -3.398 -1.651
91 C -3.028 -3.090 -0.820
92 C -2.559 -1.785 -0.787
93 C -3.195 1.803 -1.600
94 C -2.513 2.990 -1.945
95 C -3.189 4.188 -2.052
96 C -4.555 4.246 -1.802
97 C -5.242 3.094 -1.435
98 C -4.578 1.888 -1.338
99 H -4.696 -0.318 -2.968
100 H -5.529 -2.632 -3.048
101 H -4.476 -4.409 -1.700
102 H -2.582 -3.847 -0.187
103 H -1.941 -1.436 0.059
104 H -1.439 2.997 -2.085
105 H -2.648 5.087 -2.319
106 H -5.080 5.188 -1.882
107 H -6.300 3.141 -1.217
108 H -5.117 1.003 -1.026

Results
Total charge: +2
2S+1: 2
HOMO level (spin up / spin down) (eV): -11.77 / -11.88
⟨S²⟩: 0.787
Energy (eV): -116366.45177
Orbital gap (spin up / spin down) (hartree): 0.23026 / 0.21321
>>>
My boyfriend was put on life support. I would go to the hospital to visit him and believed that he would come out fine because as I talked to him, he would squeeze my hand which gave me hope. But about 5 days after the accident the doctor pronounced my boyfriend brain dead and his family decided to take him off life support. I remember just falling to my knees unable to stand and just crying out, Noooo! I could not comprehend how someone I cared so much for could be gone just like that.
There is no way to explain how I was able to come out of this accident alive BUT GOD!! How could he save such a sinner like me? GOD is just so merciful and so gracious. I know HE has a purpose for me. I am so thankful to The LORD for what HE has done!! I am now serving The LORD and am married to a wonderful, GOD fearing man and we have 6 beautiful jewels. I am part of this awesome church, The Word of Truth Church with wonderful pastors, Apostle Rocky and Pastor Bobbie and church family. I am so BLESSED!! And so grateful that GOD spared my life. Thank YOU JESUS!! ALL GLORY, PRAISE AND HONOR GOES TO THE LORD!!